We are getting close to the finale now with only six celebs left. Photo / TVNZ
We are getting close to the finale now with only six celebs left. Photo / TVNZ
We are getting close to the end of Treasure Island and the awkwardness at camp has never been more obvious than now.
But there is one alliance that seems to be thriving and they called themselves the "dirtbags", it's made up of Edna Swart, Chris Parker, Lance Savali and maybe or maybe not Jess Tyson but more on that later.
After a very wet charity challenge, Candy Lane took out the win and won her charity a whopping $5000, through tears she announced the money would be going toward Endometriosis New Zealand.
In an unexpected but very heartfelt moment, host Bree Tomasel broke down in tears as she shared she has struggled with endo her entire life and was very thankful for people like Lane who are bringing awareness to the medical condition.
A selected charity hit close to home for host, Bree Tomasel. Photo / TVNZ
Later on the beach, Swart and Savali cornered Tyson asking if she would like to formally join their alliance and it was a yes. "The alliance I think will get me further in the game." Tyson smized to the confession cam.
At the individual face-off, Swart pulled out her "stand down" scroll allowing her to stand down a player of her choice and she chose Anna Simcic.
Safe to say Simcic was confused. "Why would they want to stand me down?"
The face-off was made up of balancing beams, and letter blocks, and after a very close game, Savali took out the win… again.
Tyson was not a happy chappy however as she noticed Savali and Parker had been trying to copy her when it came to the building block part of the challenge. "These guys are stealing my thunder," she growled, going on to say "I am pissed off."
I think everyone should be scared of Tyson right now.
**Here the entry breaks off for data records:**
~~~
# 1
NaH4IO2: simulated X-ray diffraction stick pattern (Cu Kα (λ = 1.5418 Å)), based on a DFT-relaxed cell (PBE, the Materials Project).

Most intense lines, 2θ = 15–90°, sorted by position:
5.166 Å, I = 63
4.921 Å, I = 82
4.317 Å, I = 97
3.583 Å, I = 100
3.361 Å, I = 61
3.033 Å, I = 71

Cell and atoms:
```
data_NaH4IO2
_chemical_formula_sum 'Na2 H8 I2 O4'
_space_group_name_H-M_alt 'P 1'
_space_group_IT_number 1
_space_group_name_Hall 'P 1'
_cell_length_a 6.055
_cell_length_b 7.168
_cell_length_c 7.285
_cell_angle_alpha 62.40
_cell_angle_beta 81.82
_cell_angle_gamma 65.04
loop_
_atom_site_label
_atom_site_type_symbol
_atom_site_fract_x
_atom_site_fract_y
_atom_site_fract_z
Na1 Na 0.174 0.145 0.019
Na2 Na 0.826 0.855 0.981
H1 H 0.096 0.122 0.655
H2 H 0.288 0.875 0.786
H3 H 0.456 0.252 0.649
H4 H 0.466 0.658 0.224
H5 H 0.534 0.342 0.776
H6 H 0.544 0.748 0.351
H7 H 0.712 0.125 0.214
H8 H 0.904 0.878 0.345
I1 I 0.266 0.374 0.280
I2 I 0.734 0.626 0.720
O1 O 0.126 0.988 0.794
O2 O 0.494 0.216 0.792
O3 O 0.506 0.784 0.208
O4 O 0.874 0.012 0.206
```

# 2
P4H4PtIO10: simulated X-ray diffraction stick pattern (Cu Kα (λ = 1.5418 Å)), based on a DFT-relaxed cell (PBE, the Materials Project).

Most intense lines, 2θ = 15–90°, sorted by position:
4.866 Å, I = 44
3.181 Å, I = 29
3.076 Å, I = 100
2.512 Å, I = 28
2.359 Å, I = 25
2.029 Å, I = 25

Cell and atoms:
```
data_P4H4PtIO10
_chemical_formula_sum 'P8 H8 Pt2 I2 O20'
_space_group_name_H-M_alt 'P 1'
_space_group_IT_number 1
_space_group_name_Hall 'P 1'
_cell_length_a 10.623
_cell_length_b 10.623
_cell_length_c 10.623
_cell_angle_alpha 125.48
_cell_angle_beta 125.48
_cell_angle_gamma 80.75
loop_
_atom_site_label
_atom_site_type_symbol
_atom_site_fract_x
_atom_site_fract_y
_atom_site_fract_z
P1 P 0.077 0.840 0.734
P2 P 0.106 0.343 0.266
P3 P 0.160 0.894 0.237
P4 P 0.343 0.077 0.237
P5 P 0.657 0.923 0.763
P6 P 0.840 0.106 0.763
P7 P 0.894 0.657 0.734
P8 P 0.923 0.160 0.266
H1 H 0.084 0.097 0.458
H2 H 0.097 0.640 0.013
H3 H 0.360 0.374 0.458
H4 H 0.374 0.916 0.013
H5 H 0.626 0.084 0.987
H6 H 0.640 0.626 0.542
H7 H 0.903 0.360 0.987
H8 H 0.916 0.903 0.542
Pt1 Pt 0.088 0.088 0.000
Pt2 Pt 0.912 0.912 0.000
I1 I 0.252 0.252 0.000
I2 I 0.748 0.748 0.000
O1 O 0.003 0.569 0.804
O2 O 0.009 0.847 0.564
O3 O 0.062 0.301 0.363
O4 O 0.153 0.716 0.162
O5 O 0.199 0.003 0.435
O6 O 0.236 0.801 0.804
O7 O 0.284 0.446 0.436
O8 O 0.301 0.938 0.238
O9 O 0.431 0.236 0.435
O10 O 0.446 0.009 0.162
O11 O 0.554 0.991 0.838
O12 O 0.569 0.764 0.565
O13 O 0.699 0.062 0.762
O14 O 0.716 0.554 0.564
O15 O 0.764 0.199 0.196
O16 O 0.801 0.997 0.565
O17 O 0.847 0.284 0.838
O18 O 0.938 0.699 0.637
O19 O 0.991 0.153 0.436
O20 O 0.997 0.431 0.196
```

# 3
H2PtPbI6O19: simulated X-ray diffraction stick pattern (Cu Kα (λ = 1.5418 Å)), based on a DFT-relaxed cell (PBE, the Materials Project).

Most intense lines, 2θ = 15–90°, sorted by position:
4.990 Å, I = 69
3.589 Å, I = 63
3.328 Å, I = 100
3.198 Å, I = 70
3.167 Å, I = 39
3.155 Å, I = 39
~~~
Savali won a lunch with local iwi Ngāti Kurī and because Tomasel was feeling generous, she said everyone could join. To say they were honoured would be an understatement.
Back at camp, Buck Shelford was bossing everyone around telling them to tidy up "I love watching Buck take the lead," Parker told the confession cam. "Buck's values, everyone can get on board with."
And when Ngāti Kurī arrived via boat, Savali was gobsmacked at the size of the fish they brought with them. "This is probably the heaviest thing I've lifted in my life." Oh, Savali, don't be silly, you're also carrying the weight of CTI this season.
Ngāti Kurī generously shared their kai and stories with the celebs and they were all honoured. Photo / TVNZ
Introductions took place and Parker said it better than I ever could "It's incredible to see Jess and Buck work their te reo with so much confidence. It's just so inspiring." Amen to that.
While Simcic found herself emotional: "I think at this stage of the game people forget who they are." She was moved by how connected they all felt.
And Savali was in awe: "It feels like home. I really appreciated what was going on in that moment. Just to learn about where we are, to learn about them. It was a special moment for all of us."
Indeed, it was, even little old me felt like I was sitting on the beach with them connecting with New Zealand in a way I never had before.
After the most wholesome moment of the season, Parker and Savali were chatting about who would go up for elimination and it was a very short conversation, it seemed they had it planned out perfectly.
Out of the blue Lane showed up bargaining for her safety by offering a clue, but she was one step ahead telling Savali she wouldn't share the clue until tomorrow. Savali was sceptical but agreed.
Lance Savali and Candy Lane shook on a deal but will Lane keep up her end of the bargain? Photo / TVNZ
At the elimination round, Savali decided to nominate Olympic swimmer Anna Simcic and ex-captain and All Black legend Buck Shelford to face-off for their safety in the game.
Two legends competed in what Swart dubbed "by far the hardest challenge we have ever seen".
They had to place lettered blocks and spell a phrase on a frame that was very sensitive to movement.
After 45 minutes, the challenge that was increasingly frustrating to watch and I'm sure even more frustrating to play, ended and Shelford took out the win earning himself a clue.